Road Map to an Ownership Society

Sen. John Kerry has begun to elaborate on the economic agenda that he presented in just a few lines during his speech at the Democratic National Convention. However, he fails to realize that the burden of a tax increase on the “upper 2 percent” will fall disproportionately on the small businessmen and women who create more than two-thirds of all new jobs.

Moreover, as Steve Forbes recently observed, it seems Democrats “are afflicted with the curse of Robert Rubin.” He wrote that Democrats actually think that the 1993 tax hikes “cut the deficit, which, in turn, reduced the ‘crowding out’ of private investment by government borrowing, which, in turn, drove down interest rates. Result: a golden age of prosperity. The lesson: Raising taxes works!” This is utter nonsense, indeed.

Given Kerry’s anti-growth agenda, it is not surprising that a recent Investor’s Business Daily/TIPP survey shows that he lost 9 percentage points from the shareholder vote following his speech at the DNC. And given the fact that Kerry is up in most polls, it is not surprising the major stock indexes are down from early year peaks. The only thing markets like less than uncertainty over policy is certainty that policy is going to get worse. The longer Kerry remains ahead in the polls, the more certain markets will become that their investments will decline over the long run.

Kerry made a strategic error by gambling his election hopes by almost exclusively wrapping himself in the flag at the convention, leaving an economic vision deficit and opportunity for President Bush and Republicans to exploit during the Republican National Convention and throughout the fall campaign.

Bush grabbed hold of the so-called third rail of politics and campaigned in 2000 successfully on transforming Social Security with personal retirement accounts. He successfully enacted pro-growth tax-rate reductions, including marginal tax-rate reductions, for the first time in 15 years, slashed the capital gains and dividend tax rates, accelerated depreciation allowances for businesses and made an effort to eliminate the death tax.

Inserted here: records of crystals =
********
# 1
A plane-wave DFT calculation with meta-GGA SCAN was carried out for a PBEsol-optimized structure of Ga2HBr2.

Geometry as POSCAR:
```
Ga2HBr2
1.0
-3.440 -2.906 2.452
1.561 -1.950 -4.478
4.475 0.456 2.461
H Ga Br
1 2 2
direct
0.000 0.000 0.000 H
0.000 0.715 0.715 Ga
0.000 0.285 0.285 Ga
0.500 0.750 0.250 Br
0.500 0.250 0.750 Br
```

Results
Size of the total moment   0.000 μB/atom
Space-group type   I4/mmm
Crystal system   tetragonal

# 2
A plane-wave DFT calculation with meta-GGA SCAN was carried out for a PBEsol-optimized structure of NiSb2Os.

Geometry as POSCAR:
```
NiSb2Os
1.0
3.874 0.000 0.000
0.000 3.874 0.000
-1.937 -1.937 4.578
Ni Os Sb
1 1 2
direct
0.500 0.500 0.000 Ni
0.250 0.750 0.500 Os
0.000 0.000 0.000 Sb
0.750 0.250 0.500 Sb
```

Results
Size of the total moment   0.000 μB/atom
Formation energy without anion corrections   63.2 kJ/mol of atoms
Space-group type   I-4m2
Crystal system   tetragonal

# 3
A plane-wave DFT calculation with meta-GGA SCAN was carried out for a PBEsol-optimized structure of Li4V3Fe3W2O16.

Geometry as POSCAR:
```
Li4V3Fe3W2O16
1.0
-4.026 -3.481 1.989
0.827 -5.619 -0.151
4.064 0.327 8.891
Li V Fe W O
4 3 3 2 16
direct
0.336 0.336 0.101 Li
0.002 0.002 0.013 Li
0.002 0.002 0.517 Li
0.671 0.671 0.596 Li
0.183 0.183 0.781 V
0.830 0.356 0.284 V
0.356 0.830 0.284 V
0.633 0.182 0.781 Fe
0.182 0.633 0.781 Fe
0.818 0.818 0.290 Fe
0.339 0.339 0.508 W
0.669 0.669 0.008 W
0.662 0.153 0.401 O
0.487 0.487 0.634 O
0.330 0.330 0.907 O
0.002 0.002 0.707 O
0.996 0.996 0.203 O
0.153 0.662 0.401 O
0.466 0.033 0.642 O
0.033 0.466 0.642 O
0.834 0.834 0.919 O
0.170 0.170 0.398 O
0.966 0.523 0.158 O
0.523 0.966 0.158 O
0.659 0.659 0.404 O
0.842 0.346 0.911 O
0.521 0.521 0.154 O
0.346 0.842 0.911 O
```

Results
Size of the total moment   0.324 μB/atom
Formation energy without anion corrections   -213.4 kJ/mol of atoms
Space-group type   Cm
Crystal system   monoclinic

Number 1: E -15.2201 eV/atom. Number 2: E -39.9884 eV/atom. Number 3: E -14.9078 eV/atom.

~~~~~

(1)
# CsCuI2

Crystalline CsCuI2 at its relaxed geometry (PBE, Alexandria via LeMat-Bulk). Values from VASP.

Results
The space group is R-3m (166). The value obtained for the relative energy among the computed polymorphs is 39.0 meV/atom. The density of states at the Fermi level is 0.000 states/eV/atom.

Geometry as Quantum ESPRESSO input:
```
&SYSTEM
  ibrav = 0, nat = 4, ntyp = 3
/
ATOMIC_SPECIES
Cs 132.91 Cs.upf
I 126.90 I.upf
Cu 63.55 Cu.upf
CELL_PARAMETERS angstrom
-6.2409 0.5450 0.0469
-3.2873 -1.1888 -5.1989
-3.8250 -7.8306 0.4345
ATOMIC_POSITIONS angstrom
Cs -6.6766 -4.2372 -2.3588
I -3.6280 -5.5188 -0.2187
I -9.7252 -2.9557 -4.4989
Cu 0.0000 0.0000 0.0000
```

=====

(2)
# CsCu2I8

Crystalline CsCu2I8 at its relaxed geometry (PBE, Alexandria via LeMat-Bulk). Values from VASP.

Results
The space group is C2/m (12). The density of states at the Fermi level is 0.580 states/eV/atom.

Geometry as Quantum ESPRESSO input:
```
&SYSTEM
  ibrav = 0, nat = 11, ntyp = 3
********

Given recent speculation that Bush’s soon-to-be-unveiled second-term economic agenda will include both fundamental tax reform and reforming Social Security with personal retirement accounts, some have suggested that he must choose one or the other. With all due respect, he should do no such thing. Tax reform and personal accounts are not mutually exclusive; they are mutually reinforcing, indeed mutually dependent.

Congressional Budget Office projections reveal that if the Bush tax cuts are repealed, due to the progressive nature of the tax code, tax revenues as a percent of GDP will grow well beyond the historic average (18.5 percent of GDP) to 20.5 percent in 2015, 22.6 percent in 2030 and 24.7 percent by midcentury. Without continued tax reform to lower the rates back at least to where they were when Ronald Reagan left the presidency, the economy will stagger under an increasing burden each year. Without tax reform to properly define how income will be subject to taxation, it will make the transition to a new fully reformed Social Security system more difficult and require more borrowing than necessary. Bush is on the right track to be talking about both personal retirement accounts and tax reform – what can be called an ownership society agenda, or what I would call the democratization of capitalism.

The idea of an ownership society is not new; it is the logical extension of Abraham Lincoln’s Homestead Act in 1862 America, where clear title to 160 acres of federal land was “given” outright to citizens to settle and cultivate the land. The vision of an ownership society is one that looks back at a road long traveled, but one that is forward-looking and far-reaching; it is a vision that sees opportunity ahead, sunlight on the horizon.

We have come a long way since the creation of the Party of Lincoln. We have healed the wounds of a bloody Civil War that divided a nation, we have made great strides to overcome the evil legacy of slavery and Jim Crow – a permanent stain on our national honor. We have watched an infant nation mature into a global superpower, we have survived recessions, depressions and won two world wars; we have defeated Nazism, fascism, communism and, in due time, we will defeat the terrorist threat we now confront. But there is much to do.

Looking over the horizon, we must make good on promises made to our seniors and near retirees, but we must provide a better system, a better future for today’s and tomorrow’s workers. The cornerstone of the president’s ownership society agenda is personal retirement accounts. These accounts must fully utilize the power of compound interest to maximize rates of return. This can be done – indeed, must be done – without raising tax rates or cutting promised benefits.

The key to transitioning to a fully funded personal retirement system will be modest spending restraint and continued long-term economic growth, which is where tax reform enters the picture.

By providing a detailed road map to fulfill his vision of creating an ownership society, Bush can ask all Americans to look to the future with hope, optimism and equal opportunity for all – what Lincoln called our true American system.

©2004 Copley News Service